The Holonet Boards   » Jedi Praxeum & Sith Temple   » Sins of the Father

Zarek Atma

posted 04-03-2001 06:33 PM    
A long cloaked figure walked through the grand arch of the atiquated Sith Temple. He continued down the halls as a low fog was rolling in. Armed guards turned and stood in his way to deter his progress and he only held out his opened hand and spoke. "Stand fast." The armed guards did as they were told, the power of the force with this young man very strong, as strong as the blood that flowed through his veins as he continued down into the depths of the Sith Temple.

Soon he reached the great hall where the one he was searching for stood in the center amidst a circle of power that crackled with energy as the young man approached. The young man stopped a few steps away from the circle as the figure turned and looked to his new "guest" clad in full armor with his hooded cloak covering his entire form except his head. The figure in the circle spoke with a low and commanding tone. "So, you have finally come to strike your father down eh?" the feared Dark Lord of the Sith, Zekk Atma spoke with much confidence and pride as if speaking to a lower life-form.

'''
(1)
The following is a DFT calculation (ωB97M-V/def2-TZVPD) of 3 unconnected molecules or ions with the total composition C5H15NO2 at a distorted geometry.

```
23
Properties=species:S:1:pos:R:3:forces:R:3:mulliken_charge:R:1
C -1.676 -0.547 -0.958 0.9 1.8 -0.2 -1.04
C -1.501 0.496 0.186 0.0 -1.2 0.0 -0.32
C -1.086 -0.183 1.489 0.7 0.5 0.9 -0.99
C 0.294 -0.869 1.339 -0.9 -0.5 -0.1 -0.47
C 1.687 1.018 1.970 -0.6 -0.9 -0.5 -0.88
N 1.309 0.061 1.088 0.9 -0.1 -0.8 -0.35
H -1.696 -1.562 -0.585 -0.6 -0.2 -0.2 0.32
H -2.475 -0.179 -1.609 -0.4 -0.8 0.1 0.32
H -0.796 -0.437 -1.593 0.0 -0.5 0.0 0.15
H -0.706 1.186 -0.094 -0.1 0.1 0.1 0.23
H -2.432 1.035 0.316 -0.2 0.3 0.2 0.39
H -0.916 0.596 2.242 -0.1 0.1 0.0 0.36
H -1.830 -0.831 1.954 -0.4 -0.3 -0.4 0.47
H 0.202 -1.538 0.480 0.0 0.0 -0.6 0.10
H 0.437 -1.694 2.090 0.2 0.8 0.8 0.22
H 2.508 1.604 1.584 0.2 0.4 0.6 0.25
H 1.378 0.988 3.016 0.2 0.2 0.2 0.27
H 1.913 -1.570 -0.961 0.8 -0.1 -0.2 0.42
H 1.310 -0.389 -1.397 0.4 0.4 -0.4 0.33
O 2.001 -0.991 -1.737 -0.9 -0.4 0.8 -0.71
H 0.102 1.447 -3.448 0.2 0.0 0.1 0.23
H 1.455 1.291 -2.703 0.0 0.0 0.0 0.27
O 0.518 1.069 -2.667 -0.2 0.4 -0.2 -0.58
```
Positions in Å, forces in eV/Å.

Values from the calculation:
- Molecular weight: 121.2 g/mol
- Total energy: -11010.94312 eV
- LUMO energy (alpha / beta): 0.1194 / 0.1188 hartree
- HOMO energy (alpha / beta): 0.38 / -3.20 eV
- Energy relative to the best compared isomer or geometry (same formula, charge and spin): 148.6 kJ/mol
- Total charge: -1
- Multiplicity: 2
- Max |F|: 1.986 eV Å⁻¹



(2)
The following is a DFT calculation (ωB97M-V/def2-TZVPD) of 2 unconnected molecules or ions with the total composition C3H11N4 at a distorted geometry.

```
18
Properties=species:S:1:pos:R:3:forces:R:3:mulliken_charge:R:1
C 0.488 -1.324 -0.386 0.3 -0.1 0.6 0.15
C -1.446 0.092 -3.312 -1.2 -0.7 -2.1 -0.26
C 1.045 0.365 2.811 -2.5 2.3 -1.9 -0.79
N -0.354 0.669 0.460 -0.5 -4.9 -4.2 -0.50
N 0.974 -0.701 1.834 0.0 -1.5 -0.1 -0.42
N 0.319 -0.548 0.627 0.8 1.9 0.2 0.68
N -1.146 0.902 -2.410 0.2 1.7 0.8 -0.54
H 1.192 -2.185 -0.263 -1.1 0.9 -0.5 0.25
H -1.712 0.163 -4.436 0.6 0.9 1.8 0.27
H 1.566 1.256 2.381 -0.1 -0.8 0.5 0.33
H 0.016 0.713 3.151 0.9 -0.4 -0.6 0.31
H 1.461 0.077 3.708 1.4 -1.1 1.5 0.34
H -1.611 -0.906 -2.974 0.2 -1.1 0.1 0.24
H -0.215 1.234 1.180 0.4 3.3 3.3 0.20
H 1.227 -1.686 2.065 -0.5 1.4 -0.4 0.26
H -1.125 1.912 -2.631 0.2 -0.7 -0.5 0.17
H 0.001 -0.868 -1.249 0.3 -1.1 -0.2 -0.08
H -0.681 0.836 -0.554 0.5 0.0 1.5 0.40
```
Positions in Å, forces in eV/Å.

Values from the calculation:
- Molecular weight: 103.1 g/mol
- Total energy: -9239.19248 eV
- LUMO energy: -0.1348 hartree
- HOMO energy: -13.49 eV
- Energy relative to the best compared isomer or geometry (same formula, charge and spin): 487.3 kJ/mol
- Total charge: +1
- Multiplicity: 1
- Max |F|: 6.455 eV Å⁻¹



(3)
The following is a DFT calculation (ωB97M-V/def2-TZVPD) of a molecular structure, C23H26N2O6 at a distorted geometry.

```
57
'''

"I have come to rectify the Sins of my Father. You shall die, here in this stench ridden Temple of Evil.." the young proclaimed, pausing before adding the final word. "..Father." the young brushed his cloak aside and drew forth a silver cylinder and held it with two hands as he flicked a small buton and a blue white blade of pure energy sprung forth 1 meter long as he readied himself for the battle of his life.

The Dark Lord of the Sith sneered. "You are a foolish one boy...I am sorry to say that your Mother could have raised you better." with that he drew his own lightsaber and did the same, holding in in one hand as he flicked the button and two green white blades sprung forth. "Are you ready to die?" Zekk grinned gleefully, he cared not if he must kill his own firstborn son...there would be others who could take his place one day...many others.

The youth once spoke once more. "Your Empire of Darkness will end today by my hand!" as that was said he lunged forth, his lightsaber humming in the air as there weapons clashed, swings and parries going back and forth. Zekk thought he was unnmatched even his "brother" could match his skill with the skill but his son had equaled him blow for blow and maybe even surpassed.

### Molecular data, as found in the file
Molecular formula: C12H35BO8PS2
Method: DFT, ωB97M-V/def2-TZVPD

Each line ends with the Löwdin charge.
Atoms and positions in Å:
C (0.9057, 2.4329, -1.6940)  -0.087
C (0.3932, 2.8338, -3.0830)  -0.300
O (-0.9946, 2.6795, -3.2566)  -0.179
C (-1.7673, 3.8575, -2.9617)  -0.309
C (-1.7953, 4.3245, -1.5297)  -0.384
P (-3.2473, 5.6002, -1.1613)  0.314
B (-4.6532, 4.2217, -0.9483)  -0.629
O (-4.9731, 3.8053, 0.3354)  0.027
C (-5.4928, 3.5500, -2.1128)  -0.211
C (-5.1871, 2.0405, -2.1278)  -0.134
H (1.8768, 1.9452, -1.7731)  0.046
H (0.1965, 1.7368, -1.2464)  0.074
H (0.9718, 3.2966, -1.0335)  0.059
H (0.8668, 2.1843, -3.8269)  0.103
H (0.7039, 3.8595, -3.3239)  0.111
H (-2.7799, 3.6042, -3.2892)  0.091
H (-1.4328, 4.6813, -3.6071)  0.110
H (-0.8669, 4.8594, -1.2843)  0.052
H (-1.8743, 3.4789, -0.8330)  0.067
H (-2.9127, 5.4827, 0.3135)  -0.051
H (-2.2916, 6.7361, -1.2565)  -0.073
H (-3.5302, 5.7464, -2.6284)  -0.046
H (-4.3478, 6.5934, -0.8319)  -0.064
H (-4.1665, 3.7234, 0.8639)  0.068
H (-6.5750, 3.6905, -2.0055)  0.087
H (-5.1939, 3.9870, -3.0699)  0.069
H (-5.6095, 1.5609, -3.0145)  0.059
H (-4.1092, 1.8563, -2.1397)  0.063
H (-5.5949, 1.5609, -1.2367)  0.063
O (2.8213, -0.3012, -0.7170)  -0.272
S (3.4407, -0.8044, 0.4696)  0.569
O (4.3861, 0.0102, 1.1706)  -0.277
O (4.1127, -2.2101, 0.1317)  -0.264
C (4.9767, -2.2543, -1.0266)  -0.255
C (6.3453, -1.6660, -0.7574)  -0.076
C (2.2206, -1.3886, 1.5839)  -0.121
H (4.4788, -1.7547, -1.8584)  0.113
H (5.0464, -3.3136, -1.2671)  0.119
H (6.2891, -0.5922, -0.5880)  0.072
H (6.9933, -1.8495, -1.6156)  0.078
H (6.7902, -2.1226, 0.1269)  0.082
H (1.5356, -2.0343, 1.0417)  0.078
H (1.7044, -0.5070, 1.9590)  0.082
H (2.7014, -1.9275, 2.3947)  0.054
O (2.1153, -4.1268, 3.4242)  -0.278
S (1.7249, -5.4712, 3.1213)  0.561
O (1.3544, -5.8048, 1.7823)  -0.268
O (0.5734, -5.9005, 4.1210)  -0.265
C (-0.5666, -5.0052, 4.2404)  -0.241
C (-1.5286, -5.1286, 3.0803)  -0.070
C (2.9516, -6.5951, 3.6858)  -0.121
H (-0.2003, -3.9854, 4.3586)  0.113
H (-1.0363, -5.3016, 5.1756)  0.121
H (-1.0872, -4.7654, 2.1540)  0.074
H (-2.4222, -4.5406, 3.2904)  0.084
H (-1.8165, -6.1690, 2.9306)  0.085
H (3.2040, -6.3507, 4.7135)  0.075
H (3.8129, -6.4639, 3.0345)  0.078
H (2.5599, -7.6050, 3.6021)  0.075

Cartesian forces, eV/Å:
-0.2 0.2 -0.1
0.2 -0.2 0.0
0.0 0.1 0.0
-0.3 0.1 0.1
0.4 0.3 0.0
0.4 -0.2 -0.2
0.1 0.1 0.2
0.1 -0.8 -0.2
-0.1 0.1 -0.1
0.0 0.1 0.0
0.0 0.0 0.1
0.1 -0.1 0.0
0.0 0.0 0.1
-0.1 0.0 0.0
-0.1 0.0 0.0
0.0 -0.1 0.0
0.1 -0.1 0.0
0.0 0.0 0.1
-0.2 0.0 -0.1
0.0 -0.1 0.1
-0.1 -0.1 0.0
-0.1 0.0 0.1
-0.1 0.0 -0.1
-0.1 0.8 0.1
0.0 0.0 0.0
-0.1 0.1 0.0
0.0 -0.1 0.0
0.0 0.0 0.0
0.0 0.0 0.0
0.1 0.1 -0.1
-0.1 -0.1 0.0
0.0 0.0 0.0
0.1 0.0 0.0
0.1 -0.1 -0.2
0.0 0.1 0.1
0.0 0.0 0.1
0.0 0.0 0.0
0.0 0.0 0.1
0.0 0.0 0.0
0.0 0.0 0.0
0.0 0.0 0.0
0.0 0.0 0.0
0.0 0.0 0.0
0.0 0.0 0.0
0.0 0.1 0.0
-0.1 0.0 0.1
0.0 0.0 -0.1
0.0 0.0 0.0
-0.2 0.2 0.1
0.1 -0.1 -0.1
0.0 0.0 0.0
0.1 0.0 0.0
0.1 -0.1 0.0
0.0 0.0 0.0
0.0 0.0 0.0
0.0 0.0 0.0
0.0 0.0 0.0
### The molecular data stop here

The duel of the Jedi Knight and the Dark Lord of the Sith raged for 3 hours, each only taking nicks and small cuts as they fought. Zekk raised his hand and fired of purple bolt of pure evil energy as he yelled, "DIE!" the bolt screamed towards the youth as it slammed into his chest, the youth cried out in pain and agony as he fell to the ground, his lightsaber falling short of him and rolling away. Thinking himself victorious the Dark Lord stood over his fallen son as the smoke trailed off his chest. "I should have raised you instead of your Mother, she made you weak...I would have made you strong. Dont think I'm going to grant you any last words or wishes...they would go - DIE!" Zekk swung down with his lightsaber faster than any other Jedi or Sith had dreamed only to have his Coup de Grace come to a fleeting halt, his eyes widened as a trikle of blood ran down his lip and onto the ground, he looked down to see the blue white blade of his sons lightsaber embedded in his belly. "N-n....nooooo! It cant be!" he staggered back and fell to a kneel, holding his lightsaber at his side, the blades no longer visible as they reatreated back into the cylinder.

"You underestimated me, your own son. Now you will pay for your sadistic crimes against the universe..." he raised his blade to lay the final blow "goodbye.....Father." the youth closed his eyes as he struck down the very man whom had helped to bring him about into this world of light plagued by darkness. The body of the Dark Lord fell lifeless to ground, his blood draining from hid body as it formed a small shallow pool in the center of the room.

____________
168
Properties=species:S:1:pos:R:3 method="wB97M-V/def2-TZVPD" homo_lumo_gap_ev=9.47 total_charge=0 energy_ha=-4640.85632 de_lowest_kj_mol=362.6 max_force_ha_per_bohr=0.0685 e_homo_ev=-8.978
F 1.7164 2.8263 8.2975
C 1.6324 2.8298 6.9366
C 2.7805 2.5700 6.2198
C 2.7191 2.4310 4.8514
C 1.5066 2.7125 4.2239
C 0.3475 2.8935 4.9291
C 0.4145 3.0535 6.2902
H 3.6985 2.4177 6.8088
H 3.5651 2.0301 4.3394
H 1.5559 2.5913 3.1406
H -0.6002 2.9003 4.4327
H -0.5407 3.1762 6.8129
F 4.9217 -5.5729 -0.2496
C 4.1289 -5.4316 -1.3242
C 4.0859 -4.1688 -1.9037
C 3.1909 -3.9149 -2.9883
C 2.4472 -5.0062 -3.4532
C 2.4967 -6.3055 -2.8759
C 3.3410 -6.5172 -1.7929
H 4.6207 -3.3374 -1.4686
H 3.0018 -2.8251 -3.3491
H 1.7710 -4.9064 -4.2282
H 1.8125 -7.0287 -3.2777
H 3.3554 -7.4997 -1.3069
F -5.0882 -4.8909 1.6140
C -4.1758 -4.1258 0.9493
C -3.7051 -4.5706 -0.2783
C -2.8296 -3.8088 -1.0379
C -2.3993 -2.6217 -0.4782
C -2.9230 -2.1534 0.6970
C -3.8267 -2.9041 1.4710
H -4.0758 -5.5109 -0.6953
H -2.4129 -4.1288 -1.9776
H -1.6466 -2.0286 -1.0132
H -2.5789 -1.1371 1.1488
H -4.2390 -2.5254 2.4029
F 4.9153 -0.0462 -5.5188
C 5.5080 -0.4814 -4.3599
C 5.5007 0.4103 -3.2752
C 6.1257 0.0052 -2.1202
C 6.6813 -1.2369 -1.9869
C 6.7028 -2.0772 -3.1026
C 6.0934 -1.7252 -4.2918
H 4.9156 1.3278 -3.3197
H 6.1237 0.6671 -1.2435
H 7.2512 -1.4542 -1.0939
H 7.2188 -3.0241 -2.9861
H 6.0444 -2.3661 -5.1158
F -6.1794 0.3082 -2.1107
C -6.6610 -0.2581 -0.9680
C -6.6519 -1.6245 -0.9375
C -7.0992 -2.3091 0.1611
C -7.5623 -1.5592 1.2462
C -7.4847 -0.1883 1.1903
C -7.0956 0.5196 0.0500
H -6.1614 -2.1697 -1.7756
H -6.9505 -3.3602 0.1270
H -7.9395 -2.0971 2.0801
H -7.8270 0.3970 2.0703
H -7.2416 1.5567 0.1420
F 0.3707 4.1026 -5.9346
C 0.5337 2.7721 -6.1463
C 1.7234 2.1147 -5.8076
C 1.8371 0.7407 -6.0136
C 0.8049 0.0215 -6.4897
C -0.3525 0.6960 -6.8629
C -0.5409 2.0637 -6.7122
H 2.5238 2.6910 -5.4455
H 2.7907 0.3539 -5.9197
H 0.9403 -0.9854 -6.8137
H -1.1369 0.1557 -7.3399
H -1.3415 2.6410 -7.1704
F -4.1407 1.1735 1.4469
C -3.8659 0.7211 2.6960
C -4.7846 0.0773 3.5011
C -4.3054 -0.4374 4.6948
C -3.0050 -0.2083 5.0848
C -2.1030 0.5513 4.3549
C -2.5786 0.9538 3.0692
H -5.8115 -0.1218 3.1510
H -4.9229 -1.0734 5.2291
H -2.6863 -0.6431 6.0623
H -1.1260 0.5422 4.8198
H -1.9077 1.2095 2.2912
F 0.9634 -1.7558 2.6103
C 0.3850 -2.2173 3.7391
C -0.6206 -3.1172 3.6230
C -1.2711 -3.5586 4.7540
C -0.7368 -3.2674 6.0273
C 0.4438 -2.5207 6.1300
C 1.0591 -1.9892 4.9532
H -1.1943 -3.0330 2.7203
H -2.1967 -4.0691 4.6302
H -1.3960 -3.5064 6.8395
H 0.9381 -2.3378 7.0546
H 1.9097 -1.4003 5.0371
F -0.8093 -3.1287 -6.1493
C -1.8815 -2.6366 -5.4678
C -1.5166 -1.6683 -4.5162
C -2.5447 -1.0900 -3.7868
C -3.8632 -1.4527 -4.0337
C -4.1637 -2.4744 -4.9472
C -3.1803 -3.0594 -5.7308
H -0.4921 -1.4183 -4.5271
H -2.3685 -0.2723 -3.0222
H -4.7496 -1.2225 -3.4899
H -5.1747 -2.9073 -4.8290
H -3.2516 -3.9041 -6.3508
F 2.5122 -3.5085 0.6504
C 1.6758 -4.4277 1.2066
C 2.0608 -4.8952 2.4668
C 1.2663 -5.8362 3.0673
C 0.0982 -6.3328 2.4455
____________

The youth blew a sigh of relief as some great burden had been lifted from his shoulders. He walked over to the communications panel and send a message to all those who pledged fielty to the Sith Empire.

"Those of you who serve the Sith, your days are numbered, for I, the only child of your Dark Lord and Ruler, Zekk Atma is dead. I will come for you all, live in fear for I am Zarek Atma...I am your truest Nightmare - Beware the purifing light of the Force." that said he turned and strode out of the Sith Temple as easily as he had infiltrated it. Moving towards his next goal.

I was always led to believe that the sins of the Father fell upon of his children. I will rectify those sins and shine anew unlike anything the Universe has ever seen before - Zarek Atma; Jedi Knight